**Contents:**
/*
(1)
# Mg2Cd
Theoretical powder diffraction line list, Cu Kα (λ = 1.5418 Å). Input: a structure optimized by DFT (PBE).
Intensities are scaled so that the largest is 100.

Structural model:
```
data_Mg2Cd
_cell_length_a 4.5263
_cell_length_b 4.5263
_cell_length_c 25.7419
_cell_angle_alpha 90.00
_cell_angle_beta 90.00
_cell_angle_gamma 90.00
_symmetry_space_group_name_H-M 'I 41/a m d'
_symmetry_Int_Tables_number 141
loop_
_symmetry_equiv_pos_as_xyz
'x,y,z'
'-x,-y,-z'
'-y+1/4,x+3/4,z+1/4'
'y+1/4,-x+3/4,-z+1/4'
'-x+1/2,-y,z+1/2'
'x+1/2,y,-z+1/2'
'y+1/4,-x+1/4,z+3/4'
'-y+1/4,x+1/4,-z+3/4'
'x,-y,-z'
'-x,y,z'
'-y+1/4,-x+1/4,-z+3/4'
'y+1/4,x+1/4,z+3/4'
'-x+1/2,y,-z+1/2'
'x+1/2,-y,z+1/2'
'y+1/4,x+3/4,-z+1/4'
'-y+1/4,-x+3/4,z+1/4'
'x+1/2,y+1/2,z+1/2'
'-x+1/2,-y+1/2,-z+1/2'
'-y+3/4,x+1/4,z+3/4'
'y+3/4,-x+1/4,-z+3/4'
'-x,-y+1/2,z'
'x,y+1/2,-z'
'y+3/4,-x+3/4,z+1/4'
'-y+3/4,x+3/4,-z+1/4'
'x+1/2,-y+1/2,-z+1/2'
'-x+1/2,y+1/2,z+1/2'
'-y+3/4,-x+3/4,-z+1/4'
'y+3/4,x+3/4,z+1/4'
'-x,y+1/2,-z'
'x,-y+1/2,z'
'y+3/4,x+1/4,-z+3/4'
'-y+3/4,-x+1/4,z+3/4'
loop_
_atom_site_label
_atom_site_type_symbol
_atom_site_fract_x
_atom_site_fract_y
_atom_site_fract_z
Mg1 Mg 0.0000 0.2500 0.1244
Mg2 Mg 0.0000 0.2500 0.7909
Cd1 Cd 0.0000 0.2500 0.2929
```

Largest 10 diffraction maxima, sorted by position, 2θ from 10° to 90°:
hkl 0 0 4, 13.76 deg, I 15
hkl 1 0 1, 19.92 deg, I 44
hkl 1 0 5, 26.22 deg, I 22
hkl 1 1 2, 28.74 deg, I 13
hkl 1 0 7, 31.34 deg, I 16
hkl 1 1 6, 34.98 deg, I 100
hkl 2 0 0, 39.83 deg, I 35
hkl 0 0 12, 42.12 deg, I 15
hkl 2 0 12, 59.36 deg, I 20
hkl 3 1 6, 69.19 deg, I 25

(2)
# Ho7ErTh3
Theoretical powder diffraction line list, Cu Kα (λ = 1.5418 Å). Input: a structure optimized by DFT (PBE).
Intensities are scaled so that the largest is 100.

Structural model:
```
data_Ho7ErTh3
_cell_length_a 6.8839
_cell_length_b 5.4851
_cell_length_c 10.0705
_cell_angle_alpha 90.00
_cell_angle_beta 109.70
_cell_angle_gamma 90.00
_symmetry_space_group_name_H-M 'P 1 2/m 1'
_symmetry_Int_Tables_number 10
_symmetry_space_group_name_Hall '-P 2y'
loop_
_atom_site_label
_atom_site_type_symbol
_atom_site_fract_x
_atom_site_fract_y
_atom_site_fract_z
Ho1 Ho 0.0000 0.0000 0.0000
Ho2 Ho 0.1391 0.5000 0.2925
Ho3 Ho 0.3258 0.5000 0.6379
Ho4 Ho 0.4155 0.0000 0.8289
Er1 Er 0.5000 0.0000 0.5000
Th1 Th 0.0000 0.0000 0.5000
Th2 Th 0.2767 0.5000 0.9987
```

Largest 10 diffraction maxima, sorted by position, 2θ from 10° to 90°:
hkl 0 0 2, 18.71 deg, I 13
hkl 1 1 2, 31.48 deg, I 31
hkl 2 1 -2, 32.11 deg, I 100
hkl 2 0 -3, 32.22 deg, I 13
hkl 0 2 0, 32.68 deg, I 85
hkl 2 2 1, 46.41 deg, I 15
hkl 2 1 4, 57.90 deg, I 19
hkl 2 1 -6, 58.13 deg, I 11
hkl 0 3 3, 58.34 deg, I 13
hkl 4 2 -2, 63.86 deg, I 10

(3)
# PuZn4Au4
Theoretical powder diffraction line list, Cu Kα (λ = 1.5418 Å). Input: a structure optimized by DFT (PBE).
Intensities are scaled so that the largest is 100.

Structural model:
```
data_PuZn4Au4
_cell_length_a 8.4692
_cell_length_b 8.4692
_cell_length_c 4.8089
_cell_angle_alpha 90.00
_cell_angle_beta 90.00
_cell_angle_gamma 90.00
_symmetry_space_group_name_H-M 'I 4/m'
_symmetry_Int_Tables_number 87
_symmetry_space_group_name_Hall '-I 4'
loop_
_atom_site_label
_atom_site_type_symbol
_atom_site_fract_x
_atom_site_fract_y
_atom_site_fract_z
Pu1 Pu 0.0000 0.0000 0.0000
Zn1 Zn 0.1149 0.2239 0.5000
Au1 Au 0.0841 0.3514 0.0000
```

Largest 10 diffraction maxima, sorted by position, 2θ from 10° to 90°:
hkl 1 0 1, 21.25 deg, I 23
hkl 1 2 1, 30.03 deg, I 66
hkl 1 3 0, 33.46 deg, I 79
hkl 3 0 1, 36.92 deg, I 76
hkl 0 0 2, 37.40 deg, I 56
hkl 3 2 1, 42.85 deg, I 100
hkl 1 3 2, 51.05 deg, I 49
hkl 1 6 1, 70.40 deg, I 27
hkl 3 2 3, 71.22 deg, I 22
hkl 4 5 1, 74.39 deg, I 25

* * * * *

Diffraction record for CdCuSb. The X-ray powder pattern is computed, not measured: it uses a PBE-relaxed structure and Cu Kα X-rays.
Neutral-atom scattering factors, no anomalous dispersion.

Top 8 peaks for 2θ = 10–90°, sorted by position:
d_spacing	Rel. int.
4.153	62
3.553	75
2.269	100
2.264	89
*/
**Brief:**
The reader should filter the block further up: keep the lines with the word "Ho4".
**Worked solution:**
Ho4 Ho 0.4155 0.0000 0.8289